Railway Crossing
Railway (or level) crossings are among the most dangerous road intersections. In the EU, almost 1.200 crashes happen annually, resulting in 300 fatal accidents. This accounts for ~30% of railway-related fatalities. What is more, 60% of all crashes happen on active crossings (with barriers installed). Effective enforcement of traffic rules is therefore crucial at these locations.
ARS T&TT advanced traffic safety system detects offenses using Vision Analytics technology. When ignoring the red flashing light, the camera captures the vehicle and registration of the vehicle committing an offence. Besides running a red light, it is also not allowed to stand still on the railway track. The system tracks the vehicles suspected of a violation. It sends a file with visual proof of the offence and license place registration information (based on ANPR) to the back-office. Here it is possible to do a quick manual check and to process violations. The infrared illumination allows for 24/7 operation.
What comes next are data records, not part of the page >
____________
The following is a DFT calculation (GGA-PBE) of an optimized crystal structure of NdHg.

a b c (Å): 3.839 3.839 3.839
angles (deg): 90.00 90.00 90.00
Fractional coordinates of all 2 atoms:
Nd1 0.000 0.000 0.000
Hg1 0.500 0.500 0.500

Computed properties:
The space group is Pm-3m (221). The total magnetization is 0.41 μB per cell.

The following is a DFT calculation (GGA-PBE) of an optimized crystal structure of Nd2Hg5.

a b c (Å): 8.756 8.756 8.756
angles (deg): 129.31 70.97 133.84
Fractional coordinates of all 14 atoms:
Nd1 0.111 0.199 0.310
Nd2 0.389 0.699 0.088
Nd3 0.611 0.301 0.912
Nd4 0.889 0.801 0.690
Hg1 0.021 0.750 0.271
Hg2 0.113 0.781 0.895
Hg3 0.250 0.750 0.500
Hg4 0.387 0.281 0.668
Hg5 0.479 0.750 0.729
Hg6 0.521 0.250 0.271
Hg7 0.613 0.719 0.332
Hg8 0.750 0.250 0.500
Hg9 0.887 0.219 0.105
Hg10 0.979 0.250 0.729

Computed properties:
The space group is Ibam (72). The total magnetization is 0.00 μB per cell.

Computed ρ, in the same sequence as the records: 10.121, 11.688 Mg/m³.
Computed ΔH_f (0 K), in the same sequence as the records: -0.472, -0.397 eV per atom.
____________
The Railway Crossing safety system significantly improves adherence to the traffic rules, resulting in an increased safety of not only road users, but also train operators and passengers around these sensitive intersection.

Solution advantages
Flexibility of application
The ARS system can be installed on a variety of level crossings, without the need of connecting to the railway data system. Solution supports multilane, multi-rail intersection for any kind of rail operation. The powerful computing with integrated 4G/Wi-Fi requires no need for fiber connections, allowing implementation in remote areas.
Reduced traffic violations
Our solution ensures flawless identification of traffic violations at railway crossings, together with a user-friendly operator dashboard. Violators are penalized with proper evidence, discouraging from repeating such driving behavior. The system is composed of an integrated camera with a CPU and communication dedicated to run Vision Analytic software locally. It only sends images of violators to the central system.
Cost efficiency
Our system does not require physical presence to catch offenders. It presents all required proof of potential violators via a dashboard, where officers can make the final decision on a fine with one click. This results automatically in a neat package for the justice department. In addition these officers can work from any location approved by the rail operator for any location in the field, saving travel costs and time. Additionally, modular hardware feature allows users to upgrade the components "over the air".
Well managed workflows, standard operating procedures, and Role-Location wise system access for the operators increase the accountability of operators, and support in auditing and improvement purposes. The data is processed using the ARS Enforcement Back-office system. The software automatically gathers all materials for a case file, supporting the operators, who only need to confirm the violation.